Wanted:
What is needed: reproduce the whole of the rows below word for word.
File:
+++
Density functional theory data (PBEsol) for crystalline TlTcAu2I at its relaxed geometry.

Properties
ΔE_f (raw) = 1.319 eV/atom
space-group type = P4/mmm (123)

a = 4.955 Å, b = 5.257 Å, c = 5.257 Å
α = 90.00°, β = 90.00°, γ = 90.00°
Atoms (fractional coordinates):
Au1 0.000 0.000 0.500
I1 0.000 0.000 0.000
Au2 0.000 0.500 0.000
Tl1 0.500 0.500 0.500
Tc1 0.500 0.000 0.000
+++
Result:
Density functional theory data (PBEsol) for crystalline TlTcAu2I at its relaxed geometry.

Properties
ΔE_f (raw) = 1.319 eV/atom
space-group type = P4/mmm (123)

a = 4.955 Å, b = 5.257 Å, c = 5.257 Å
α = 90.00°, β = 90.00°, γ = 90.00°
Atoms (fractional coordinates):
Au1 0.000 0.000 0.500
I1 0.000 0.000 0.000
Au2 0.000 0.500 0.000
Tl1 0.500 0.500 0.500
Tc1 0.500 0.000 0.000